**Job:**
The reader should reproduce every line further below that contains the word "Cl".

**Input:**
********
LaNdCl6: theoretical X-ray powder pattern (Cu Kα (weighted mean of Kα1 and Kα2)), based on a structure optimized by DFT (GGA-PBE).
Peak positions follow from Bragg's law for the DFT cell and can differ from measured ones.

Structure:
```
LaNdCl6
1.0
7.505 0.000 0.000
-3.753 6.500 0.000
0.000 0.000 4.309
La Nd Cl
1 1 6
direct
0.000 0.000 0.000
0.333 0.667 0.500
0.059 0.636 0.000
0.279 0.029 0.500
0.364 0.423 0.000
0.577 0.941 0.000
0.750 0.721 0.500
0.971 0.250 0.500
```

Peak list (8 most intense, 10° ≤ 2θ ≤ 90°, low angle first)
index  two_theta  I_rel
1 0 0  13.62  1000
1 1 0  23.71  412
1 0 1  24.79  637
1 1 1  31.62  235
2 0 1  34.57  904
3 0 0  41.69  331
2 1 1  42.35  734
2 3 1  66.33  266

~~~~~

Entry 1:
Structure and calculated X-ray diffraction stick pattern of GdTmZnIr (DFT lattice parameters and positions (GGA-PBE); Cu Kα X-rays).
Neutral-atom scattering factors, no anomalous dispersion.

Structural model:
```
GdTmZnIr
1.0
0.0000 3.4775 3.4775
3.4775 0.0000 3.4775
3.4775 3.4775 0.0000
Gd Tm Zn Ir
1 1 1 1
direct
0.0000 0.0000 0.0000
0.5000 0.5000 0.5000
0.2500 0.2500 0.2500
0.7500 0.7500 0.7500
```

The 8 most intense peaks (5 to 70 degrees two-theta), in order of rising 2θ:
two_theta  Rel. int.
22.1  10
25.6  1
36.5  100
43.1  5
52.6  18
57.8  2
59.4  1
65.8  36

=====

Entry 2:
Structure and calculated X-ray diffraction stick pattern of Gd3YIr (DFT lattice parameters and positions (GGA-PBE); Cu Kα X-rays).
Neutral-atom scattering factors, no anomalous dispersion.

Structural model:
```
Gd3YIr
1.0
5.4755 0.0000 0.0000
0.0000 5.4755 0.0000
0.0000 0.0000 5.4755
Gd Y Ir
3 1 1
direct
0.0000 0.0000 0.5000
0.0000 0.5000 0.0000
0.5000 0.0000 0.0000
0.5000 0.5000 0.5000
0.0000 0.0000 0.0000
```

The 10 most intense peaks (5 to 70 degrees two-theta), in order of rising 2θ:
two_theta  Rel. int.
16.2  62
23.0  14
28.2  48
32.7  100
36.7  34
46.9  73
50.0  18
55.7  21
58.4  26
68.6  12
********

**Response:**
La Nd Cl